(Job)
The reader should type out everything below without altering anything.

(Material)
'''
(1)
A relaxed structure of Be3P2, computed with GGA-PBE.

## Properties
For the energy relative to the lowest polymorph listed for this composition, the calculation gives 84 meV per atom. As for the formation energy: -149 meV per atom. Its total magnetization is 0.0 μB per formula unit. The value obtained for the raw total energy is -4.5577 eV per atom.

abc: 12.4968 12.4968 12.4968
angles: 131.65 131.65 70.78
Positions (direct):
Be 0.8284 0.8182 0.2731
Be 0.5682 0.7951 0.4898
Be 0.3053 0.0784 0.5102
Be 0.4216 0.1947 0.4898
Be 0.7049 0.9318 0.5102
Be 0.9447 0.9549 0.2731
Be 0.6818 0.6716 0.7269
Be 0.5451 0.5553 0.7269
Be 0.9216 0.4318 0.2269
Be 0.1818 0.4549 0.0102
Be 0.4447 0.1716 0.9898
Be 0.3284 0.0553 0.0102
Be 0.0451 0.3182 0.9898
Be 0.8053 0.2951 0.2269
Be 0.0682 0.5784 0.7731
Be 0.2049 0.6947 0.7731
Be 0.8101 0.0770 0.5025
Be 0.8270 0.8245 0.7669
Be 0.0576 0.0601 0.2331
Be 0.4399 0.4424 0.7669
Be 0.6755 0.6730 0.2331
Be 0.1924 0.9255 0.5025
Be 0.4230 0.6899 0.4975
Be 0.5745 0.3076 0.4975
Be 0.9399 0.1730 0.9975
Be 0.9230 0.4255 0.7331
Be 0.6924 0.1899 0.2669
Be 0.3101 0.8076 0.7331
Be 0.0745 0.5770 0.2669
Be 0.5576 0.3245 0.9975
Be 0.3270 0.5601 0.0025
Be 0.1755 0.9424 0.0025
Be 0.5552 0.8140 0.0081
Be 0.5640 0.0560 0.7588
Be 0.2972 0.8052 0.2412
Be 0.6948 0.2028 0.7588
Be 0.4440 0.9360 0.2412
Be 0.9528 0.6940 0.0081
Be 0.6860 0.9448 0.9919
Be 0.8060 0.5472 0.9919
Be 0.1948 0.4360 0.4919
Be 0.1860 0.1940 0.7412
Be 0.4528 0.4448 0.2588
Be 0.0552 0.0472 0.7412
Be 0.3060 0.3140 0.2588
Be 0.7972 0.5560 0.4919
Be 0.0640 0.3052 0.5081
Be 0.9440 0.7028 0.5081
P 0.0000 0.0000 0.0000
P 0.7500 0.2500 0.5000
P 0.2500 0.7500 0.5000
P 0.5000 0.5000 0.0000
P 0.7500 0.7500 0.0000
P 0.5000 0.0000 0.5000
P 0.0000 0.5000 0.5000
P 0.2500 0.2500 0.0000
P 0.3750 0.6250 0.7500
P 0.3750 0.1250 0.7500
P 0.3750 0.6250 0.2500
P 0.8750 0.1250 0.7500
P 0.3750 0.1250 0.2500
P 0.8750 0.6250 0.7500
P 0.8750 0.1250 0.2500
P 0.8750 0.6250 0.2500
P 0.6250 0.8610 0.7360
P 0.6110 0.3750 0.7360
P 0.6390 0.8750 0.2640
P 0.1250 0.8890 0.2640
P 0.1250 0.3890 0.7640
P 0.1390 0.8750 0.7640
P 0.1110 0.3750 0.2360
P 0.6250 0.3610 0.2360
P 0.0071 0.0071 0.5142
P 0.7571 0.7429 0.5000
P 0.2429 0.2571 0.5000
P 0.4929 0.4929 0.4858
P 0.7429 0.2429 0.9858
P 0.9929 0.5071 0.0000
P 0.5071 0.9929 0.0000
P 0.2571 0.7571 0.0142

---

(2)
A relaxed structure of Nd10Ti12O39, computed with GGA-PBE.

## Properties
As for the formation energy: -3552 meV per atom. The calculation puts the energy with MP2020 corrections at -9.05 eV per atom. Its total magnetization is 0.0 μB per formula unit. The value obtained for the raw total energy is -8.6111 eV per atom.

abc: 7.2730 10.2913 12.5306
angles: 113.60 106.81 88.93
Positions (direct):
Nd 0.6384 0.1743 0.8294
Nd 0.8356 0.8346 0.6807
Nd 0.0053 0.4922 0.5091
Nd 0.3471 0.8295 0.6872
Nd 0.1595 0.1573 0.3238
Nd 0.4942 0.9858 0.4934
Nd 0.3547 0.8307 0.1490
Nd 0.6679 0.1676 0.3357
Nd 0.8183 0.3522 0.1710
Nd 0.0246 0.5067 0.9795
Ti 0.9854 0.9997 0.9959
Ti 0.4960 0.0068 0.0051
Ti 0.3324 0.3353 0.6675
Ti 0.4934 0.5045 0.5000
Ti 0.6583 0.6602 0.8384
Ti 0.8247 0.3363 0.6659
Ti 0.6753 0.6669 0.3364
Ti 0.1659 0.1696 0.8405
Ti 0.8435 0.8292 0.1677
Ti 0.0025 0.0038 0.5056
Ti 0.1669 0.6735 0.3304
Ti 0.3219 0.3360 0.1665
O 0.3270 0.2562 0.7831
O 0.7768 0.6671 0.0007
O 0.7525 0.1054 0.0020
O 0.8758 0.8210 0.8717
O 0.8506 0.5215 0.7947
O 0.7105 0.6109 0.4831
O 0.9320 0.2858 0.8182
O 0.0718 0.3864 0.6527
O 0.2606 0.9470 0.0126
O 0.0860 0.9831 0.6626
O 0.3827 0.0584 0.8663
O 0.0169 0.9455 0.1313
O 0.2158 0.1301 0.5248
O 0.1764 0.8522 0.4545
O 0.2743 0.6145 0.4806
O 0.4614 0.5141 0.7848
O 0.4977 0.8159 0.8731
O 0.5851 0.6619 0.6694
O 0.4161 0.0233 0.3176
O 0.5793 0.9559 0.6768
O 0.4206 0.7317 0.3381
O 0.5799 0.2451 0.6619
O 0.4142 0.3494 0.3366
O 0.5210 0.1973 0.1390
O 0.7100 0.3851 0.5317
O 0.5519 0.4794 0.2155
O 0.9796 0.0553 0.8602
O 0.6262 0.9401 0.1288
O 0.7775 0.8579 0.4719
O 0.8131 0.1355 0.5322
O 0.9159 0.9942 0.3304
O 0.9140 0.3046 0.3350
'''

(Result)
(1)
A relaxed structure of Be3P2, computed with GGA-PBE.

## Properties
For the energy relative to the lowest polymorph listed for this composition, the calculation gives 84 meV per atom. As for the formation energy: -149 meV per atom. Its total magnetization is 0.0 μB per formula unit. The value obtained for the raw total energy is -4.5577 eV per atom.

abc: 12.4968 12.4968 12.4968
angles: 131.65 131.65 70.78
Positions (direct):
Be 0.8284 0.8182 0.2731
Be 0.5682 0.7951 0.4898
Be 0.3053 0.0784 0.5102
Be 0.4216 0.1947 0.4898
Be 0.7049 0.9318 0.5102
Be 0.9447 0.9549 0.2731
Be 0.6818 0.6716 0.7269
Be 0.5451 0.5553 0.7269
Be 0.9216 0.4318 0.2269
Be 0.1818 0.4549 0.0102
Be 0.4447 0.1716 0.9898
Be 0.3284 0.0553 0.0102
Be 0.0451 0.3182 0.9898
Be 0.8053 0.2951 0.2269
Be 0.0682 0.5784 0.7731
Be 0.2049 0.6947 0.7731
Be 0.8101 0.0770 0.5025
Be 0.8270 0.8245 0.7669
Be 0.0576 0.0601 0.2331
Be 0.4399 0.4424 0.7669
Be 0.6755 0.6730 0.2331
Be 0.1924 0.9255 0.5025
Be 0.4230 0.6899 0.4975
Be 0.5745 0.3076 0.4975
Be 0.9399 0.1730 0.9975
Be 0.9230 0.4255 0.7331
Be 0.6924 0.1899 0.2669
Be 0.3101 0.8076 0.7331
Be 0.0745 0.5770 0.2669
Be 0.5576 0.3245 0.9975
Be 0.3270 0.5601 0.0025
Be 0.1755 0.9424 0.0025
Be 0.5552 0.8140 0.0081
Be 0.5640 0.0560 0.7588
Be 0.2972 0.8052 0.2412
Be 0.6948 0.2028 0.7588
Be 0.4440 0.9360 0.2412
Be 0.9528 0.6940 0.0081
Be 0.6860 0.9448 0.9919
Be 0.8060 0.5472 0.9919
Be 0.1948 0.4360 0.4919
Be 0.1860 0.1940 0.7412
Be 0.4528 0.4448 0.2588
Be 0.0552 0.0472 0.7412
Be 0.3060 0.3140 0.2588
Be 0.7972 0.5560 0.4919
Be 0.0640 0.3052 0.5081
Be 0.9440 0.7028 0.5081
P 0.0000 0.0000 0.0000
P 0.7500 0.2500 0.5000
P 0.2500 0.7500 0.5000
P 0.5000 0.5000 0.0000
P 0.7500 0.7500 0.0000
P 0.5000 0.0000 0.5000
P 0.0000 0.5000 0.5000
P 0.2500 0.2500 0.0000
P 0.3750 0.6250 0.7500
P 0.3750 0.1250 0.7500
P 0.3750 0.6250 0.2500
P 0.8750 0.1250 0.7500
P 0.3750 0.1250 0.2500
P 0.8750 0.6250 0.7500
P 0.8750 0.1250 0.2500
P 0.8750 0.6250 0.2500
P 0.6250 0.8610 0.7360
P 0.6110 0.3750 0.7360
P 0.6390 0.8750 0.2640
P 0.1250 0.8890 0.2640
P 0.1250 0.3890 0.7640
P 0.1390 0.8750 0.7640
P 0.1110 0.3750 0.2360
P 0.6250 0.3610 0.2360
P 0.0071 0.0071 0.5142
P 0.7571 0.7429 0.5000
P 0.2429 0.2571 0.5000
P 0.4929 0.4929 0.4858
P 0.7429 0.2429 0.9858
P 0.9929 0.5071 0.0000
P 0.5071 0.9929 0.0000
P 0.2571 0.7571 0.0142

---

(2)
A relaxed structure of Nd10Ti12O39, computed with GGA-PBE.

## Properties
As for the formation energy: -3552 meV per atom. The calculation puts the energy with MP2020 corrections at -9.05 eV per atom. Its total magnetization is 0.0 μB per formula unit. The value obtained for the raw total energy is -8.6111 eV per atom.

abc: 7.2730 10.2913 12.5306
angles: 113.60 106.81 88.93
Positions (direct):
Nd 0.6384 0.1743 0.8294
Nd 0.8356 0.8346 0.6807
Nd 0.0053 0.4922 0.5091
Nd 0.3471 0.8295 0.6872
Nd 0.1595 0.1573 0.3238
Nd 0.4942 0.9858 0.4934
Nd 0.3547 0.8307 0.1490
Nd 0.6679 0.1676 0.3357
Nd 0.8183 0.3522 0.1710
Nd 0.0246 0.5067 0.9795
Ti 0.9854 0.9997 0.9959
Ti 0.4960 0.0068 0.0051
Ti 0.3324 0.3353 0.6675
Ti 0.4934 0.5045 0.5000
Ti 0.6583 0.6602 0.8384
Ti 0.8247 0.3363 0.6659
Ti 0.6753 0.6669 0.3364
Ti 0.1659 0.1696 0.8405
Ti 0.8435 0.8292 0.1677
Ti 0.0025 0.0038 0.5056
Ti 0.1669 0.6735 0.3304
Ti 0.3219 0.3360 0.1665
O 0.3270 0.2562 0.7831
O 0.7768 0.6671 0.0007
O 0.7525 0.1054 0.0020
O 0.8758 0.8210 0.8717
O 0.8506 0.5215 0.7947
O 0.7105 0.6109 0.4831
O 0.9320 0.2858 0.8182
O 0.0718 0.3864 0.6527
O 0.2606 0.9470 0.0126
O 0.0860 0.9831 0.6626
O 0.3827 0.0584 0.8663
O 0.0169 0.9455 0.1313
O 0.2158 0.1301 0.5248
O 0.1764 0.8522 0.4545
O 0.2743 0.6145 0.4806
O 0.4614 0.5141 0.7848
O 0.4977 0.8159 0.8731
O 0.5851 0.6619 0.6694
O 0.4161 0.0233 0.3176
O 0.5793 0.9559 0.6768
O 0.4206 0.7317 0.3381
O 0.5799 0.2451 0.6619
O 0.4142 0.3494 0.3366
O 0.5210 0.1973 0.1390
O 0.7100 0.3851 0.5317
O 0.5519 0.4794 0.2155
O 0.9796 0.0553 0.8602
O 0.6262 0.9401 0.1288
O 0.7775 0.8579 0.4719
O 0.8131 0.1355 0.5322
O 0.9159 0.9942 0.3304
O 0.9140 0.3046 0.3350